So, lately—and by lately I mean literally all the time—I’ve been seeing articles, news stories, blogs, everything talking about how terrible millennials are.
In case you didn’t know, the “millennial” generation is typically defined as those born between the early 1980s and mid-1990s. The term “millennial” was coined in 1987, and referred to the Generation Y group that was coming of age around the turn of the century—a new millennium.
What many people actually don’t know is that as of 2015, the millennial generation actually outnumbered the Baby Boomers, with 75.4 million people, making us the largest, and most influential, generation to date. Basically, the millennial generation is large and in charge, and people are starting to take notice.
Whether it’s how millennials are spending money, current fashion trends, current wedding trends, current Gen Y anything, people are writing about us, focusing on us, inspecting us, and criticizing us for every move the generation makes. Talk about obsessive.
What comes next are records of molecules, not part of the entry
┌──
{"formula": "C28H79N7O9Ti2", "method": "the ωB97M-V functional and the def2-TZVPD basis", "fmax_ev_per_a": 3.710, "charge": 0, "spin_multiplicity": 7, "e_above_lowest_kcal_mol": 0.0, "gap_ev": [4.666, 8.857], "lumo_ev": [0.44, 0.32], "homo_energy_ev": [-4.23, -8.54], "symbols": ["Ti", "Ti", "O", "H", "O", "H", "C", "C", "C", "O", "C", "N", "H", "H", "H", "H", "H", "H", "H", "H", "H", "H", "H", "C", "C", "C", "O", "C", "N", "H", "H", "H", "H", "H", "H", "H", "H", "H", "H", "H", "C", "C", "C", "O", "C", "N", "H", "H", "H", "H", "H", "H", "H", "H", "H", "H", "H", "C", "C", "C", "O", "C", "N", "H", "H", "H", "H", "H", "H", "H", "H", "H", "H", "H", "C", "C", "C", "O", "C", "N", "H", "H", "H", "H", "H", "H", "H", "H", "H", "H", "H", "C", "C", "C", "O", "C", "N", "H", "H", "H", "H", "H", "H", "H", "H", "H", "H", "H", "C", "C", "C", "O", "C", "N", "H", "H", "H", "H", "H", "H", "H", "H", "H", "H", "H"], "coordinates": [[1.058788, -1.256684, -1.582343], [-0.485792, 0.034066, 0.771137], [-1.299482, -0.896234, -1.152313], [-1.609882, -0.703854, -2.058493], [1.742358, -0.182894, 0.401887], [2.019718, 0.733526, 0.596257], [-0.438602, 0.899896, 4.493727], [-0.611912, 2.250646, 3.765377], [0.482368, 3.253706, 4.312797], [-0.033202, 3.897126, 5.481107], [0.744238, 5.103496, 5.810947], [-0.391312, 2.034516, 2.368077], [-0.405492, 1.003976, 5.578247], [0.470958, 0.349456, 4.253277], [-1.104332, 0.102026, 4.164647], [-1.655402, 2.462446, 3.998537], [0.647708, 4.008946, 3.544427], [1.496728, 2.860306, 4.379207], [0.483908, 5.443956, 6.813157], [0.489938, 5.968366, 5.198217], [1.812558, 4.888256, 5.789377], [-0.465312, 2.867646, 1.801927], [0.462328, 1.503126, 2.273067], [2.091818, -5.394234, -0.858913], [2.509428, -3.934064, -1.056003], [4.067468, -3.786354, -1.528593], [4.866998, -4.193964, -0.470553], [6.196198, -4.595434, -0.865063], [1.690998, -3.433584, -2.136873], [2.585818, -5.762824, 0.040097], [2.350948, -5.994624, -1.730973], [1.042608, -5.519334, -0.591343], [2.573028, -3.314544, -0.161433], [4.217968, -2.741784, -1.801193], [4.339988, -4.343734, -2.424793], [6.800778, -4.578884, 0.041757], [6.644308, -3.837854, -1.508003], [6.294698, -5.557254, -1.368333], [1.883818, -3.820674, -3.049613], [0.729428, -3.706304, -1.991573], [5.173638, 2.910986, 0.389907], [3.903168, 2.170696, 0.075687], [3.298338, 2.672936, -1.226353], [2.731138, 3.967606, -0.881693], [2.261608, 4.677316, -2.058453], [4.200368, 0.774066, -0.054563], [5.878388, 2.941836, -0.441043], [5.607938, 2.557126, 1.324927], [5.014818, 3.966146, 0.612427], [3.204048, 2.366766, 0.888627], [2.477178, 2.064216, -1.604833], [3.992368, 2.837896, -2.050503], [1.228338, 4.427056, -2.298913], [2.857948, 4.684846, -2.970823], [2.147168, 5.728976, -1.795763], [4.653198, 0.461106, 0.792257], [3.339858, 0.322276, 0.220207], [-2.235742, -5.094934, -3.596643], [-2.167182, -3.695624, -3.075943], [-3.510962, -3.117584, -2.554233], [-3.964522, -4.060104, -1.567013], [-5.233592, -3.604694, -1.073873], [-1.236162, -3.705534, -1.945113], [-2.993132, -5.046014, -4.379003], [-2.739992, -5.874504, -3.025593], [-1.377892, -5.507754, -4.127463], [-1.642962, -3.015024, -3.746833], [-4.254872, -3.097704, -3.350663], [-3.148292, -2.138364, -2.241663], [-6.013302, -3.692364, -1.830493], [-5.211802, -2.532994, -0.876173], [-5.566252, -4.138974, -0.183943], [-1.334892, -2.828184, -1.454603], [-1.715312, -4.281584, -1.267853], [0.478398, -2.674674, 2.564447], [1.848058, -2.800344, 3.220237], [2.297348, -4.256894, 3.390197], [1.591138, -4.831184, 4.534907], [2.432648, -4.692624, 5.735177], [2.820158, -2.177124, 2.268087], [0.278358, -1.647804, 2.258457], [-0.163462, -2.963654, 3.396667], [0.277838, -3.326324, 1.714027], [1.768718, -2.265184, 4.166497], [3.366808, -4.330274, 3.587617], [1.903988, -4.745734, 2.498907], [1.798728, -4.969034, 6.577697], [2.676458, -3.640744, 5.884227], [3.237558, -5.418504, 5.850577], [3.306868, -2.840654, 1.682487], [2.327868, -1.548034, 1.650027], [-4.310042, 2.088516, -0.789203], [-3.252972, 1.661106, 0.296017], [-3.586612, 0.185166, 0.808387], [-2.691452, -0.204564, 1.770627], [-2.876142, -1.505804, 2.405657], [-1.967752, 1.603786, -0.371763], [-4.075692, 1.621006, -1.745563], [-4.127142, 3.111186, -1.119033], [-5.320512, 2.058866, -0.381553], [-3.197582, 2.332056, 1.153257], [-3.477112, -0.570064, 0.030097], [-4.580272, 0.181856, 1.256417], [-2.240842, -1.523434, 3.291197], [-2.498342, -2.249754, 1.704307], [-3.857952, -1.856904, 2.723267], [-1.847592, 0.695146, -0.796073], [-1.929772, 2.348966, -1.052473], [-4.384402, 7.012806, -4.341283], [-2.973442, 6.545366, -4.160153], [-2.902142, 5.311416, -3.266163], [-1.550032, 4.843846, -3.252073], [-1.472382, 3.454046, -3.365073], [-2.558882, 6.237336, -5.538373], [-4.933172, 6.411946, -5.066493], [-4.582902, 7.873676, -4.979723], [-4.981052, 7.201606, -3.448843], [-2.462352, 7.368866, -3.661423], [-3.635172, 4.609206, -3.663233], [-3.198322, 5.508626, -2.235883], [-1.473332, 3.262396, -4.438093], [-2.230922, 2.830986, -2.891253], [-0.466242, 3.205226, -3.027623], [-1.595622, 5.965006, -5.403943], [-2.929102, 5.298996, -5.589063]], "forces_ev_per_a": [[-0.42, 0.77, 0.64], [0.01, 0.77, 0.08], [0.88, -0.65, -0.70], [0.42, 0.04, 0.58], [-1.66, 0.06, -0.36], [-0.85, -0.59, -0.24], [0.62, -0.73, -0.15], [1.65, -1.33, 1.60], [-2.08, 0.99, -0.49], [1.47, 1.06, 0.22], [-0.82, -0.95, 0.26], [-0.78, -0.76, -0.41], [-0.42, 0.10, -0.02], [0.86, 0.64, -0.22], [-0.94, 0.53, 0.23], [0.17, 1.13, -0.20], [-0.41, 0.40, -0.34], [-0.04, -0.82, 0.74], [-0.09, -0.52, 0.16], [0.06, -0.28, -0.66], [0.04, 0.04, -0.15], [0.42, -0.14, -0.16], [0.72, 0.42, -0.40], [0.76, 0.27, 1.68], [2.74, -1.57, -1.95], [-1.92, -0.27, 0.12], [1.16, -0.75, 0.27], [-0.14, 1.13, 0.60], [-0.50, 2.13, 0.11], [0.44, -0.44, -0.18], [-0.05, 0.00, 0.06], [-0.23, 0.32, -0.47], [-1.02, -0.01, 0.06], [0.09, 0.41, 0.20], [-0.50, -0.46, -0.26], [-0.14, -0.29, 0.03], [-0.08, 0.14, -0.23], [-0.55, -0.18, 0.07], [0.68, 0.01, -0.04], [-0.83, -0.32, 0.16], [
└──
The records of molecules stop here
And here’s the thing: millennials are making some waves. There’s no way around it, we are doing things differently than any other generation before us has done. And apparently, people really, really, don’t like us for it.
I mean, we’ve been called “The Me Me Me Generation,” “The Lamest Generation,” and “Idle Trophy Kids,” not to mention much worse.
Despite all this, here’s my opinion on the topic: millennials are actually really freaking awesome.
Don’t get me wrong, there is some entitlement in our generation, there is some laziness, there is some not so great stuff going on. But that is literally with every generation. Just think of what the Baby Boomers were called: hippies, lazies, potheads, crazy civil rights people amiright? Every generation is going to have some negatives, some people outside that hate those young folks for trying to make waves. That’s just how it goes.
So, in defense of my generation and in promotion of all the completely awesome things we’ve done and are doing, here’s a list of reasons why millennials rock.
1. Millennials care, a lot. The Generation Y has made huge advances in civil rights causes. Whether it’s the Black Lives Matter movement, awareness for LGBTQ rights, or promoting women’s rights, one thing millennials cannot be called is inactive. And whether you agree with these movements or not, it can be agreed upon that when millennials see a need, they care enough to try and fix it.
And just as the last Civil Rights Movement (much of which was lead by young people) was denigrated, so have the millennials been who are trying to fight current injustices. The fact is Gen Y cares about everyone’s voices being heard, and are working to balance out power differences that have been held since the founding of the United States.
2. Millennials are innovative. A lot of what I’ve read on millennials claims we aren’t very intelligent. Technology has ruined us, we don’t have to do anything for ourselves, “back in my day I had to handwrite my math problems,” blah, blah, blah. But, here’s the thing: just because technology has made learning different, doesn’t mean that it isn’t still learning.
There is more information out there than ever before. For goodness sakes, millennials graduating college with engineering and medical degrees are already outdated by the time they start working. Gen Y is learning more than any other generation before us at a faster rate because of the accessibility of technology.
But just because millennials didn’t have to take a pen and paper to everything doesn’t mean they’re not smart. We’re innovative, solving problems through unique ways and thinking solutions through. Gen Y is inventing more ways of working than the typical 9-5. They’re asking questions about why the system works the way it does, and how we can better it. We’re working through problems rather than accepting what they say.
3. Millennials are strong. Let’s be real: millennials are facing some serious shit. Thanks to the national debt that previous generations left us in, millennials are graduating college with more debt than ever before. The job market is still down, and our chances of getting a career in the area we studied are slim. And while our generation is more educated than others before us, we have the highest poverty rate than ever before, at about 20% after graduating college.
-- Quantum chemistry results that have nothing to do with the piece --
=====
1.
{
  "formula": "C4H3FS",
  "method": "ωB97M-V/def2-TZVPD",
  "homo_lumo_gap_ha": 0.3044,
  "smiles": "C#C[C@@H](F)C=S",
  "homo_ev": -9.2,
  "e_tot_ev": -17745.79946,
  "total_charge": 0,
  "symbols": ["C", "C", "C", "F", "C", "S", "H", "H", "H"],
  "positions_angstrom": [[2.766575, -0.944078, -0.072825], [1.777449, -0.262807, 0.074359], [0.510982, 0.490553, 0.441986], [0.485576, 1.665462, -0.268467], [-0.567457, -0.387676, -0.156852], [-2.199699, -0.390070, 0.010784], [3.661685, -1.581765, -0.173903], [0.397153, 0.626807, 1.487200], [-0.159125, -1.169024, -0.789653]],
  "atomic_forces_ev_per_a": [[0.0, -0.1, 0.1], [0.5, 0.2, 1.1], [1.0, -1.7, -2.5], [0.0, 0.7, 0.3], [-2.3, -1.0, 0.0], [1.8, 0.5, 0.2], [-1.1, 0.9, 0.0], [0.0, 0.5, 1.0], [0.0, 0.1, -0.2]],
  "lowdin_charge": [0.124, -0.078, -0.389, 0.004, -0.594, 0.705, 0.054, 0.131, 0.042]
}



2.
{
  "formula": "C17H26N2O3",
  "method": "ωB97M-V/def2-TZVPD",
  "homo_lumo_gap_ha": 0.1115,
  "homo_ev": -5.8,
  "e_tot_ev": -27165.84807,
  "total_charge": 0,
  "symbols": ["C", "N", "O", "C", "O", "C", "C", "C", "C", "C", "C", "H", "H", "H", "H", "H", "H", "H", "H", "C", "C", "C", "C", "C", "C", "N", "O", "C", "C", "C", "H", "H", "H", "H", "H", "H", "H", "H", "H", "H", "H", "H", "H", "H", "H", "H", "H", "H"],
  "positions_angstrom": [[-0.686177, 0.076111, 2.425064], [-1.439091, -0.780413, 1.573816], [-2.552920, -0.067627, 1.153295], [-3.634172, -0.909117, 0.931652], [-3.584398, -1.862747, 0.238994], [-4.850589, -0.419749, 1.632005], [-5.422439, 0.769068, 1.182762], [-6.559367, 1.256002, 1.810834], [-7.087457, 0.568628, 2.896083], [-6.503181, -0.609335, 3.343830], [-5.381368, -1.120300, 2.706162], [-1.133317, 1.060143, 2.544170], [0.340490, 0.164245, 2.022000], [-0.589602, -0.397282, 3.408292], [-4.990201, 1.305807, 0.353074], [-7.030999, 2.160217, 1.459815], [-7.957887, 0.948526, 3.410514], [-6.920140, -1.142269, 4.184674], [-4.900830, -2.028569, 3.032604], [1.825038, -0.799294, -3.112550], [1.704684, -0.689096, -1.578764], [1.107098, 0.675562, -1.224695], [2.083694, 1.823800, -1.472044], [3.396853, 1.591576, -0.726772], [4.026484, 0.214568, -0.974041], [3.008835, -0.875891, -0.882326], [2.791086, -1.163669, 0.352258], [4.730898, 0.174697, -2.344151], [5.139178, -0.008532, 0.046300], [0.754565, -1.799621, -1.171664], [0.827665, -0.868848, -3.545115], [2.287897, 0.062296, -3.586705], [2.378264, -1.693617, -3.401671], [0.808868, 0.679674, -0.171192], [0.196745, 0.824635, -1.808014], [2.269811, 1.951921, -2.541644], [1.636120, 2.760663, -1.133269], [4.120197, 2.364325, -0.994402], [3.206159, 1.705071, 0.345034], [5.110547, -0.826966, -2.549359], [5.582358, 0.855204, -2.339773], [4.104147, 0.478860, -3.177794], [4.788697, 0.100938, 1.070693], [5.924719, 0.729664, -0.111861], [5.578969, -1.000955, -0.061302], [1.154484, -2.787663, -1.404619], [-0.190375, -1.692104, -1.702624], [0.529963, -1.758535, -0.107575]],
=====
Despite all this, millennials are still hopeful. We’re facing more challenges than our parents did and dealing with more economic crisis, but we’re still working towards achieving our goals, even if they’re different than generations before us.
So, yes, the millennial generation has some negatives, but don’t they all? With new innovations in technology, Generation Y is dealing with issues that previous generations never could have dreamed of, and we’re working to overcome them in different and creative ways.
We’re fighting injustices, we’re building across cultural divides, we’re expanding our global citizenship, we’re inventing new technologies, and we’re doing it all from the comfort of our parents’ basement because we can’t afford to move out.
So I say, screw you news stations, articles, and blog posts that hate on my generation. I’m proud to be a millennial, and you should be too.